Excerpt
........
[1]
Theoretical powder diffraction line list of Tm11Ga9Ni4 for Cu Kα, 1.54184 Å, from a cell relaxed with GGA-PBE.

Structural model:
```
Tm11Ga9Ni4
1.0
6.8013 -10.2234 0.0000
6.8013 10.2234 0.0000
0.0000 0.0000 3.5056
Tm Ga Ni
11 9 4
Cartesian
0.0000 0.0000 0.0000 Tm
3.2927 3.4851 0.0000 Tm
6.8013 6.8515 0.0000 Tm
4.1940 0.0000 0.0000 Tm
6.8013 2.5796 0.0000 Tm
3.2927 -3.4851 0.0000 Tm
10.3099 3.4851 0.0000 Tm
6.8013 -2.5796 0.0000 Tm
9.4087 0.0000 0.0000 Tm
6.8013 -6.8515 0.0000 Tm
10.3099 -3.4851 0.0000 Tm
2.0043 1.4377 1.7528 Ga
5.3980 4.7659 1.7528 Ga
2.0043 -1.4377 1.7528 Ga
8.2046 4.7659 1.7528 Ga
6.8013 0.0000 1.7528 Ga
5.3980 -4.7659 1.7528 Ga
11.5984 1.4377 1.7528 Ga
8.2046 -4.7659 1.7528 Ga
11.5984 -1.4377 1.7528 Ga
4.7011 2.0842 1.7528 Ni
4.7011 -2.0842 1.7528 Ni
8.9015 2.0842 1.7528 Ni
8.9015 -2.0842 1.7528 Ni
```

Peak list (10 most intense, 2θ = 15–90°, in order of rising 2θ)
d_spacing, I_rel
3.506, 119
3.404, 213
3.038, 113
2.569, 135
2.442, 1000
2.407, 355
2.296, 201
2.241, 94
1.753, 153
1.417, 137

***

[2]
Theoretical powder diffraction line list of Tm3Ga5Ni6 for Cu Kα, 1.54184 Å, from a cell relaxed with GGA-PBE.

Structural model:
```
Tm3Ga5Ni6
1.0
4.0879 0.0000 0.0000
0.0000 11.9887 0.0000
0.0000 0.0000 8.9206
Tm Ga Ni
6 10 12
Cartesian
1.0220 0.6790 2.2131 Tm
1.0220 5.3154 2.2131 Tm
1.0220 8.9915 2.3967 Tm
3.0659 2.9972 6.5239 Tm
3.0659 6.6733 6.7075 Tm
3.0659 11.3097 6.7075 Tm
1.0220 0.9233 5.2582 Ga
1.0220 5.0710 5.2582 Ga
1.0220 7.3278 8.8264 Ga
1.0220 8.9915 6.7903 Ga
1.0220 10.6552 8.8264 Ga
3.0659 1.3335 0.0942 Ga
3.0659 2.9972 2.1303 Ga
3.0659 4.6609 0.0942 Ga
3.0659 6.9176 3.6624 Ga
3.0659 11.0654 3.6624 Ga
1.0220 1.0464 7.7070 Ni
1.0220 2.9972 0.3795 Ni
1.0220 2.9972 3.8548 Ni
1.0220 4.9479 7.7070 Ni
1.0220 7.6096 4.7965 Ni
1.0220 10.3734 4.7965 Ni
3.0659 1.6153 4.1241 Ni
3.0659 4.3790 4.1241 Ni
3.0659 7.0408 1.2136 Ni
3.0659 8.9915 5.0657 Ni
3.0659 8.9915 8.5411 Ni
3.0659 10.9423 1.2136 Ni
```

Peak list (10 most intense, 2θ = 15–90°, in order of rising 2θ)
d_spacing, I_rel
3.716, 125
2.858, 228
2.488, 137
2.406, 1000
2.386, 241
2.231, 232
2.044, 303
1.998, 128
1.552, 125
1.239, 118

***

[3]
Theoretical powder diffraction line list of Tm3Ga2Ni7 for Cu Kα, 1.54184 Å, from a cell relaxed with GGA-PBE.

Structural model:
```
Tm3Ga2Ni7
1.0
2.5567 1.4761 7.8769
-2.5567 1.4761 7.8769
0.0000 -2.9522 7.8769
Tm Ga Ni
3 2 7
Cartesian
0.0000 0.0000 0.0000 Tm
0.0000 0.0000 3.3191 Tm
0.0000 0.0000 20.3117 Tm
0.0000 0.0000 7.8649 Ga
0.0000 0.0000 15.7659 Ga
-1.2758 -0.7366 9.8371 Ni
0.0000 -1.4732 13.7937 Ni
-1.2758 0.7366 13.7937 Ni
0.0000 0.0000 11.8154 Ni
1.2758 -0.7366 9.8371 Ni
0.0000 1.4732 9.8371 Ni
1.2758 0.7366 13.7937 Ni
```

Peak list (10 most intense, 2θ = 15–90°, in order of rising 2θ)
d_spacing, I_rel
2.685, 455
2.557, 590
2.457, 329
2.204, 381
2.144, 1000
2.005, 137
1.500, 154
1.382, 235
1.342, 225
1.278, 225
........

To do
Reproduce all of the data further up character by character.

Reply
[1]
Theoretical powder diffraction line list of Tm11Ga9Ni4 for Cu Kα, 1.54184 Å, from a cell relaxed with GGA-PBE.

Structural model:
```
Tm11Ga9Ni4
1.0
6.8013 -10.2234 0.0000
6.8013 10.2234 0.0000
0.0000 0.0000 3.5056
Tm Ga Ni
11 9 4
Cartesian
0.0000 0.0000 0.0000 Tm
3.2927 3.4851 0.0000 Tm
6.8013 6.8515 0.0000 Tm
4.1940 0.0000 0.0000 Tm
6.8013 2.5796 0.0000 Tm
3.2927 -3.4851 0.0000 Tm
10.3099 3.4851 0.0000 Tm
6.8013 -2.5796 0.0000 Tm
9.4087 0.0000 0.0000 Tm
6.8013 -6.8515 0.0000 Tm
10.3099 -3.4851 0.0000 Tm
2.0043 1.4377 1.7528 Ga
5.3980 4.7659 1.7528 Ga
2.0043 -1.4377 1.7528 Ga
8.2046 4.7659 1.7528 Ga
6.8013 0.0000 1.7528 Ga
5.3980 -4.7659 1.7528 Ga
11.5984 1.4377 1.7528 Ga
8.2046 -4.7659 1.7528 Ga
11.5984 -1.4377 1.7528 Ga
4.7011 2.0842 1.7528 Ni
4.7011 -2.0842 1.7528 Ni
8.9015 2.0842 1.7528 Ni
8.9015 -2.0842 1.7528 Ni
```

Peak list (10 most intense, 2θ = 15–90°, in order of rising 2θ)
d_spacing, I_rel
3.506, 119
3.404, 213
3.038, 113
2.569, 135
2.442, 1000
2.407, 355
2.296, 201
2.241, 94
1.753, 153
1.417, 137

***

[2]
Theoretical powder diffraction line list of Tm3Ga5Ni6 for Cu Kα, 1.54184 Å, from a cell relaxed with GGA-PBE.

Structural model:
```
Tm3Ga5Ni6
1.0
4.0879 0.0000 0.0000
0.0000 11.9887 0.0000
0.0000 0.0000 8.9206
Tm Ga Ni
6 10 12
Cartesian
1.0220 0.6790 2.2131 Tm
1.0220 5.3154 2.2131 Tm
1.0220 8.9915 2.3967 Tm
3.0659 2.9972 6.5239 Tm
3.0659 6.6733 6.7075 Tm
3.0659 11.3097 6.7075 Tm
1.0220 0.9233 5.2582 Ga
1.0220 5.0710 5.2582 Ga
1.0220 7.3278 8.8264 Ga
1.0220 8.9915 6.7903 Ga
1.0220 10.6552 8.8264 Ga
3.0659 1.3335 0.0942 Ga
3.0659 2.9972 2.1303 Ga
3.0659 4.6609 0.0942 Ga
3.0659 6.9176 3.6624 Ga
3.0659 11.0654 3.6624 Ga
1.0220 1.0464 7.7070 Ni
1.0220 2.9972 0.3795 Ni
1.0220 2.9972 3.8548 Ni
1.0220 4.9479 7.7070 Ni
1.0220 7.6096 4.7965 Ni
1.0220 10.3734 4.7965 Ni
3.0659 1.6153 4.1241 Ni
3.0659 4.3790 4.1241 Ni
3.0659 7.0408 1.2136 Ni
3.0659 8.9915 5.0657 Ni
3.0659 8.9915 8.5411 Ni
3.0659 10.9423 1.2136 Ni
```

Peak list (10 most intense, 2θ = 15–90°, in order of rising 2θ)
d_spacing, I_rel
3.716, 125
2.858, 228
2.488, 137
2.406, 1000
2.386, 241
2.231, 232
2.044, 303
1.998, 128
1.552, 125
1.239, 118

***

[3]
Theoretical powder diffraction line list of Tm3Ga2Ni7 for Cu Kα, 1.54184 Å, from a cell relaxed with GGA-PBE.

Structural model:
```
Tm3Ga2Ni7
1.0
2.5567 1.4761 7.8769
-2.5567 1.4761 7.8769
0.0000 -2.9522 7.8769
Tm Ga Ni
3 2 7
Cartesian
0.0000 0.0000 0.0000 Tm
0.0000 0.0000 3.3191 Tm
0.0000 0.0000 20.3117 Tm
0.0000 0.0000 7.8649 Ga
0.0000 0.0000 15.7659 Ga
-1.2758 -0.7366 9.8371 Ni
0.0000 -1.4732 13.7937 Ni
-1.2758 0.7366 13.7937 Ni
0.0000 0.0000 11.8154 Ni
1.2758 -0.7366 9.8371 Ni
0.0000 1.4732 9.8371 Ni
1.2758 0.7366 13.7937 Ni
```

Peak list (10 most intense, 2θ = 15–90°, in order of rising 2θ)
d_spacing, I_rel
2.685, 455
2.557, 590
2.457, 329
2.204, 381
2.144, 1000
2.005, 137
1.500, 154
1.382, 235
1.342, 225
1.278, 225